Joseph M. Setele
출생 : 1968-02-02, Parma, Ohio, USA
Director of Photography
A television reporter is attacked by a monster while investigating an environmental disaster in Florida.
A television reporter is attacked by a monster while investigating an environmental disaster in Florida.
Director of Photography
Director of Photography
Alexa and Jason are competing for a position at an advertising firm when their partners break up with them. Alexa mistakenly texts Jason, and they start a phone-only relationship. When they meet and the truth comes out, will true love prevail?
Director of Photography
Alyssa Manning was abducted as a small child and spent seven years living with her kidnapper before she was returned safely to her parents.
Director of Photography
=====
No. 1
The following is a PBE-GGA calculation of a relaxed GePb5O7 crystal, from Materials Project.

Cell: 9.5588 11.8816 17.6647 Å, 90.00 90.00 90.00°
Closest atoms and distances in Å follow each position.
Space group Pbca (No. 61)
Symmetry-distinct sites (fractional):
Ge 0.0125 0.1884 0.0999 (multiplicity 8)  4 O 1.77-1.80
Pb 0.0141 0.6130 0.0730 (multiplicity 8)  3 O 2.31-2.40
Pb 0.0197 0.5822 0.7702 (multiplicity 8)  3 O 2.24-2.36
Pb 0.2037 0.0778 0.9188 (multiplicity 8)  3 O 2.28-2.47
Pb 0.2085 0.6141 0.5764 (multiplicity 8)  3 O 2.29-2.37
Pb 0.2428 0.6516 0.2430 (multiplicity 8)  3 O 2.24-2.35
O 0.0347 0.1202 0.1898 (multiplicity 8)  1 Ge 1.80
O 0.0685 0.6777 0.8840 (multiplicity 8)  1 Ge 1.79
O 0.0922 0.6009 0.4581 (multiplicity 8)  1 Ge 1.77
O 0.1450 0.5157 0.1687 (multiplicity 8)  3 Pb 2.24-2.40
O 0.1477 0.0085 0.5012 (multiplicity 8)  4 Pb 2.28-2.38
O 0.1722 0.0319 0.3298 (multiplicity 8)  3 Pb 2.24-2.36
O 0.1793 0.2148 0.0567 (multiplicity 8)  1 Ge 1.79

Summary:
The theoretical density is 8.08 g/cm3. As for the formation energy: -158.4 kJ per mole of atoms. The calculation puts the total magnetization at 0.0 μB/f.u.



No. 2
The following is a PBE-GGA calculation of a relaxed GePb3O5 crystal, from Materials Project.

Cell: 5.3964 10.6345 5.6180 Å, 90.00 93.28 90.00°
Closest atoms and distances in Å follow each position.
Space group P2_1 (No. 4)
Symmetry-distinct sites (fractional):
Ge 0.0239 0.0000 0.4525 (multiplicity 2)  4 O 1.77-1.80
Pb 0.0245 0.7580 0.9521 (multiplicity 2)  3 O 2.24-2.44
Pb 0.4836 0.2732 0.4988 (multiplicity 2)  3 O 2.33-2.50
Pb 0.4954 0.0040 0.9874 (multiplicity 2)  3 O 2.26-2.48
O 0.0718 0.1645 0.4716 (multiplicity 2)  1 Ge 1.77
O 0.1628 0.9382 0.1941 (multiplicity 2)  1 Ge 1.80
O 0.1721 0.9181 0.7001 (multiplicity 2)  1 Ge 1.79
O 0.3005 0.4661 0.5852 (multiplicity 2)  1 Ge 1.79
O 0.3793 0.3066 0.0956 (multiplicity 2)  3 Pb 2.24-2.33

Summary:
The theoretical density is 7.99 g/cm3. The calculation puts the polymorph energy (0 for the lowest one) at 0 meV/atom. As for the formation energy: -166.5 kJ per mole of atoms.



No. 3
The following is a PBE-GGA calculation of a relaxed Ge3Pb3O10 crystal, from Materials Project.

Cell: 7.4075 9.5017 9.5018 Å, 113.53 105.04 105.03°
Closest atoms and distances in Å follow each position.
Space group P1 (No. 1)
Symmetry-distinct sites (fractional):
Ge 0.0000 0.0000 0.0000 (multiplicity 1)  4 O 1.76-1.80
Ge 0.0430 0.7359 0.5285 (multiplicity 1)  4 O 1.76-1.80
Ge 0.1752 0.2644 0.3964 (multiplicity 1)  4 O 1.76-1.80
Ge 0.2642 0.1321 0.6604 (multiplicity 1)  4 O 1.76-1.80
Ge 0.7786 0.6038 0.8680 (multiplicity 1)  4 O 1.76-1.80
Ge 0.8676 0.4716 0.1320 (multiplicity 1)  4 O 1.76-1.80
Pb 0.2268 0.5639 0.7971 (multiplicity 1)  4 O 2.30-2.57
Pb 0.3483 0.4003 0.1012 (multiplicity 1)  4 O 2.30-2.56
Pb 0.5119 0.0309 0.9599 (multiplicity 1)  4 O 2.30-2.56
Pb 0.5317 0.7051 0.5688 (multiplicity 1)  4 O 2.30-2.56
Pb 0.6943 0.3350 0.4269 (multiplicity 1)  4 O 2.30-2.56
=====
Annie, who in a desperate attempt to bring up her grades, joins a cheating ring and, under its influence, starts a relationship with her lacrosse coach, and a student uses blackmail to prevent her from leaving the group.
Director of Photography
Julie has been forced to leave her old school and cheer squad behind when her mom gets a job as assistant principal at Wilson High School - a well-funded magnet school for the athletically gifted. When Julie’s tumbling nails her a top position on the champion Wilson Wolf Pack cheer squad, excitement turns to trepidation as her new cheer friends start turning on her. Feeling lost and alone she has to get to the bottom of Wilson’s dirty secrets if she’s going to survive.
Director of Photography
Alyssa is a successful author who was kidnapped as a child before making a safe return seven years later. When her young daughter gets abducted from a local park, Alyssa must rely on her former captor -- just released from prison -- to help save her
Director of Photography
After being dumped, a group of high school cheerleaders seek revenge on their boyfriends, only to suspect that their new cheer coach is actually behind all their troubles.
Director of Photography
Fearing her boyfriend is cheating on her, Nicole tests him with a fake social media profile she's made under the name "Heather Harris." But when a girl named Heather Harris enrolls at her school, Nicole suspects something sinister.
Director of Photography
After re-vamping a home, beautiful interior decorator Ava becomes madly obsessed with the handsome owner. She sets out to eliminate his family and live in the house she created with the man she loves.
Director of Photography
After losing the use of his legs in a car crash, Tony is helped to walk again by Daphne his physical therapist. But Daphne's loving care soon morphs into a sick attempt to possess Tony forever.
Director of Photography
Podcaster Samantha Desouza is assigned to host a show that reunites lost loves. Even though Love is the last thing on her mind, Samantha falls for charming Jake who calls in with a problem. Will Samantha follow he heart this time?
Director of Photography
A single mother risks her life to save her starstruck daughter from the clutches of a talent agent's sex trafficking ring, on a secluded island.
Director of Photography
A teenage girl visits her mom on death row and gets lured into a dangerous trap to take the fall for her mother's crimes.
Director of Photography
A young woman finds her life in danger when an emotionally disturbed police officer she bullied in high school targets her in a twisted plan of revenge.
"A" Camera Operator
Jackie hires a mistress hunter to come between her husband and his mistress. But when the mistress and her husband wind up dead, Jackie becomes the number one suspect.
Director of Photography
Jackie hires a mistress hunter to come between her husband and his mistress. But when the mistress and her husband wind up dead, Jackie becomes the number one suspect.
Director of Photography
When teenager Kendra lies about her age to get into a Hollywood party, she meets handsome reality TV star, Brad. But when she discovers that Brad is not as charming as he seems, Kendra rejects him, only to realize that he has become obsessed with her and will stop at nothing--including dating her widowed mother--to be near her.
Director of Photography
A teen becomes the target of a stalker after she joins a club where participants play a game that grows increasingly sinister.
Director of Photography
A daughter acuses her mother for killing her boyfriend but was it really the mother who did it or was it someone who has always been there?
Director of Photography
A Madison Avenue executive, Amy, discovers an unusual Christmas surprise when she inherits her Aunt’s hometown bakery. The real surprise comes when she learns the other half of the bakery was left to her long-ago boyfriend, Jack. Unresolved personal issues resurface between them, as the exes return home to co-manage the store, along with its traditional holiday cookie bake-off.
Director of Photography
As a top student at St. Adeline's Catholic Boarding School, Zoe senses that something is not quite right about the school's new nun-- a sense proven to be true when it is revealed the "good' nun is an imposter with a fatal attraction to Zoe's brother.
When Zeus (Mario Lopez) accidentally destroys an important party, he gets sent to obedience school at the worst time! A trio of bumbling burglars is planning a heist. Can Zeus save the day?
[Data records from another source follow]
- - -
[1]
Entry from Materials Project: ErMn2 after structural relaxation (PBE).

abc: 8.9289 5.3485 8.5180
angles: 90.00 90.07 90.00
Closest atoms and distances in Å follow each position.
Space group C2/m (No. 12)
Inequivalent atoms, fractional coordinates:
Er1 0.1683 0.0000 0.0626 [4 per cell]  12 Mn 2.97-3.12, 4 Er 3.19-3.23
Er2 0.1681 0.0000 0.4372 [4 per cell]  12 Mn 2.97-3.12, 4 Er 3.19-3.23
Mn1 0.0000 0.5000 0.0000 [2 per cell]  6 Mn 2.59-2.69
Mn2 0.0000 0.5000 0.5000 [2 per cell]  6 Mn 2.59-2.70
Mn3 0.0762 0.2552 0.7502 [8 per cell]  6 Mn 2.54-2.73
Mn4 0.1845 0.5000 0.2496 [4 per cell]  6 Mn 2.54-2.70

[2]
Entry from Materials Project: ErMn2 after structural relaxation (PBE).

abc: 8.7211 5.2651 8.3426
angles: 90.00 93.74 90.00
Closest atoms and distances in Å follow each position.
Space group C2/m (No. 12)
Inequivalent atoms, fractional coordinates:
Er1 0.1657 0.0000 0.4365 [4 per cell]  12 Mn 2.90-3.08, 4 Er 3.13-3.16
Er2 0.1694 0.0000 0.0615 [4 per cell]  12 Mn 2.90-3.13, 4 Er 3.06-3.19
Mn1 0.0000 0.5000 0.0000 [2 per cell]  6 Mn 2.44-2.64
Mn2 0.0000 0.5000 0.5000 [2 per cell]  6 Mn 2.48-2.66
Mn3 0.0847 0.2553 0.7444 [8 per cell]  6 Mn 2.48-2.69
Mn4 0.1680 0.5000 0.2455 [4 per cell]  6 Mn 2.44-2.66

[3]
Entry from Materials Project: ErMn2 after structural relaxation (PBE).

abc: 7.1790 7.1790 7.1790
angles: 90.00 90.00 90.00
Closest atoms and distances in Å follow each position.
Space group Fd-3m (No. 227, origin choice 2)
Inequivalent atoms, fractional coordinates:
Er1 0.1250 0.1250 0.1250 [8 per cell]  12 Mn 2.98, 4 Er 3.11
Mn1 0.0000 0.0000 0.5000 [16 per cell]  6 Mn 2.54

[4]
Entry from Materials Project: ErMn2 after structural relaxation (PBE).

abc: 5.3183 5.3183 8.0732
angles: 90.00 90.00 120.00
Closest atoms and distances in Å follow each position.
Space group P6_3/mmc (No. 194)
Inequivalent atoms, fractional coordinates:
Er1 0.3333 0.6667 0.0599 [4 per cell]  12 Mn 2.92-3.11, 4 Er 3.07-3.22
Mn1 0.0000 0.0000 0.0000 [2 per cell]  6 Mn 2.55
Mn2 0.1689 0.3379 0.7500 [6 per cell]  6 Mn 2.55-2.70

[5]
Entry from Materials Project: Er2MnS4 after structural relaxation (PBE).

abc: 3.7573 12.3005 12.7740
angles: 90.00 90.00 90.00
Closest atoms and distances in Å follow each position.
Space group Cmc2_1 (No. 36)
Inequivalent atoms, fractional coordinates:
Er1 0.0000 0.1188 0.0000 [4 per cell]  6 S 2.70-2.90
Er2 0.0000 0.3623 0.2024 [4 per cell]  6 S 2.68-2.74
Mn1 0.0000 0.3739 0.8387 [4 per cell]  6 S 2.50-2.64
S1 0.0000 0.0104 0.7877 [4 per cell]  2 Mn 2.60, 2 Er 2.68
S2 0.0000 0.2616 0.3889 [4 per cell]  2 Mn 2.59, 3 Er 2.69-2.78
S3 0.0000 0.2898 0.6488 [4 per cell]  1 Mn 2.64, 4 Er 2.74-2.90
S4 0.0000 0.4623 0.0154 [4 per cell]  1 Mn 2.50, 3 Er 2.69-2.70

[6]
Entry from Materials Project: Er6MnSi2S14 after structural relaxation (PBE).

abc: 9.8275 9.8275 5.5832
angles: 90.00 90.00 120.00
Closest atoms and distances in Å follow each position.
Space group P3 (No. 143)
Inequivalent atoms, fractional coordinates:
- - -
When Zeus (Mario Lopez) accidentally destroys an important party, he gets sent to obedience school at the worst time! A trio of bumbling burglars is planning a heist. Can Zeus save the day?
Camera Operator
A woman accused of murdering her husband is found innocent, only to be terrorized by the real killer once she is set free.
Director of Photography
The world of Mixed Martial Arts isn't just for the men anymore! Fatal Femmes Fighting was created with a single solitary mission: bring together the best female MMA fighters from around the world and determine the best of the best!
On this historic night, 16 women would have the opportunity to make MMA history with the first all-female, no-holds-barred cage-fighting card sanctioned by the State of California!
And, for 6 women, it was a night that would give them the opportunity to become the first Fatal Femmes Fighting champion in their weight class as Jen Case battled Yoko Takahashi for the FFF Middleweight Title, Cassandra Blasso went to war with Roxanne Modaferri over the Lightweight Title, and Japan's feared Masako Yoshida steps in the cage against US women's MMA standout Lisa Ward to crown the first FFF Flyweight Champion!
First Assistant "B" Camera
Criminology professor Jonathan Maxwell investigates a murder at a new age retreat where the leader is killed in a locked room surrounded by people in a deep trance.
First Assistant "B" Camera
Nadine (Garofalo) is a contradiction in terms; she runs a dating service despite being incredibly unlucky in love. Now, facing serious business problems, she needs to find the right guy to turn her fortune around.
Camera Operator
감독이자 이 영화에서 배우로 맹활약한 토미 웨소(Tommy Wiseau)가 2003년에 제작한 영화. 곧 결혼할 커플과 예비신랑의 절친 사이에 벌어지는 삼각관계를 다루는 멜로드라마...라는데 전개며 줄거리가 정말로 뜬금없다. 인물들이 전혀 이해할 수 없는 행동을 하는 건 기본이고, 성격 또한 지속적으로 바뀌며 스크립트도 엉망으로 꼬여있다. 그 중에서도 시도 때도 없이 나오는 불필요한 섹스신은 도저히 이해할 수가 없는 수준이다. 로튼 토마토 지수는 36%로, 배트맨과 로빈이나 그린 랜턴: 반지의 선택보다도 다소 높은 수치이나 실제로는 그 작품들보다도 괴작으로, 그나마 있는 호평들은 "이건 너무 못 만들어서 예술이다"라는 의미로 높은 점수를 준 것이다. IMDB에도 더 룸이 역사상 최고의 작품이라는 개그 리뷰들이 상당수 존재한다. 세계 최악의 영화 10위로 당당히 선정되었으나 이것은 순전히 예산낭비, 극취향, 아까운 시간을 날려버린 팬들의 분노 등을 이유로 더 룸보다 불편함을 선사하여 순위에 높게 선정된 영화들 때문이지, 실상으로는 대체적으로 더 룸보다는 논리적이고 연기도 괜찮은 작품들이다. 하지만 이러한 괴상한 점들로 인해 입소문이 퍼지기 시작하며 어느새 이 영화는 컬트 영화의 반열에 등극했고, 외계로부터의 9호 계획를 뒤잇는 역사상 망작 영화의 대명사로 유명해졌다.
First Assistant Camera
Brett is a high-school outcast who doesn't run with the in crowd, unlike Samantha, the cheerleader he has a desperate crush on. Then one day, he gets a parcel in the mail -- a totem with the power to grant his deepest, darkest desires. Brett wishes for Samantha to love him, and she does, although after a while her affection starts leaning toward obsession. Then murders start occurring in the school, which Brett gradually starts to connect to the totem.
First Assistant "A" Camera
When a passionate but turbulent affair with an emotionally troubled girl results in pregnancy, a struggling writer and his tight-knit family are forced to decide how the story will end.
First Assistant Camera
그녀를 스쳐간 열세명의 남자? 케이트는 여성지 '모니끄'의 기자다. 그녀는 내키지 않는 섹스 테크닉에 대한 기사를 쓰라는 강요를 받으며 자신을 스쳐간 남자들을 되돌아 보게된다. 지금까지 케이트가 사귀었던 남자는 총 13명! 하지만 이들 중 3주 이상 관계가 지속된 사람이 없다. 한마디로 그녀의 연애사는 시행착오와 섣부른 판단으로 점철된 아픔과 상처, 후 회 투성이었던 것이다. 아담같은 남자는 처음이었다.. 어느날, 그녀는 그림 전시회에서 화가 아담을 만나고 곧 사랑에 빠진다. 그녀 인생에서 처음 으로 그녀를 이해해주고 말이 잘 통하는 남자를 만난 것이다. 둘은 사랑에 빠지고 동거에 들어가지만 시간이 흐르자 이들에게도 어김없이 권태기가 찾아 온다. 아담은 케이트가 싫어서라기보다는 혼자만의 시간을 가지고 싶어서 케이트에게 헤어 지자고 한다. 하지만 마음의 준비가 돼있지 않던 케이트에게 아담의 결별선언은 엄청난 충 격으로 다가온다. 그걸로 끝인 줄 알았는데... 케이트와 아담은 헤어졌지만 여전히 서로를 사랑하고 있음을 뒤늦게 깨닫는다. 하지만 그 마음을 차마 내색 할 수 없는 두 사람은 오히려 경쟁적으로 데이트 상대를 바꿔가며 서로를 자극하는데... 안돼! 케이트, 제발.... 그 남자만은... 자신의 의도와는 다르게 아담과의 재회가 요원해지고 케이트는 공통점이라곤 단 한가지도 없는 무식한 3류 영화배우 조이와 사랑에 빠진다. 뒤늦게 이 사실을 알게 된 아담은 자신 이 얼마나 케이트를 사랑하는지를 깨닫고 그녀를 다시 찾으려 온갖 노력을 하는데...
City Bus
세계적인 슈퍼스타의 본거지. 스타를 꿈꾸는 세계의 수많은 젊은이들이 모여드는 헐리웃. 18세의 젊은 미남청년 카를로스는 화려한 스포트라이트를 받는 헐리웃의 스타가 되는 것이 유일한 꿈이다. 2년 동안 멕시코에서 할아버지와 생활한 카를로스는 가족들이 생활하고 있는 로스엔젤레스로 돌아오지만 그를 기다리는 것은 지독한 가난과 생계 걱정 뿐이다. 능력없는 아버지와 건강이 악화된 어머니, 그리고 정상적으로 자라지 못한 여동생과 형은 카롤로스의 인생을 압박한다. 거리에서 스타들이 사는 집의 지도 '스타맵스'를 팔며 하루하루를 연명하던 카를로스. 그는 가족들의 생계마저도 책임져야 하는 처지에서 인생을 뒤바꿀수 있는 희망으로 헐리웃 스타가 되려는 결심을 굳힌다. 자신도 안토니오 반데라스 같은 대스타가 될 수 있다고 확신하는 카를로스. 그는 자신의 꿈을 위해, 자신의 가족을 위해 모든 것을 걸기로 한다. 어느날, TV배우인 제니퍼와 그의 남편인 프로듀셔 마틴을 만난 카를로스. 그는 결국 단 하나의 배역을 타기 위해 몸을 팔기도 하고, 호모와 관계까지 하는 등 갖은 고생을 하며 하루하루를 보낸다. 그러던 카를로스에게 어느날 작은 배역이 맡겨지는데.
First Assistant Camera
Edward is busy trying to unlock the secrets of reading and recording people's thoughts. He is very involved with his work leaving little room for girlfriend Britt. Longstreet comes along and offers Edward a place to do his research and have unlimited funding. There are, however, ulterior motives as Edward is also somehow unlocking the secrets of eternal life.
First Assistant Camera
A serial killer's trail of dead bodies leads to the haunting past of two brothers and one woman's love for both men. The fact this features some fairly well known actors (one of whom died in 1997), yet took at least seven years to release, probably isn't a hallmark of high quality.
First Assistant Camera
A desperate attraction. A beautiful homicide cop goes undercover in the steamy world of modeling to catch a serial killer and becomes enmeshed in a torrid affair with the prime suspect in this erotic thriller.
First Assistant Camera
Janna Riley is the awkward and shy girl nobody ever seems to notice. Not being able to live up to her mother's expectations of popularity, Janna walks through the school hallways alone, though her eyes are always on a certain football player, Bo Callahan. Laughed at and made fun of by the in-crowd, Janna sees her opportunity to become accepted when a fateful motorcycle "accident" lands Bo into her arms and under her doting care. Bo's vulnerable condition enables Janna to kidnap Bo and, in the style of Stephen King's "Misery," the viewer is held captive for every thrilling second.
Second Assistant Camera
New Mexican warlock Cerio goads working mother Leigh Lindsey into a sexual affair.
Second Assistant Camera
Charles is bored with being a wealthy, successful architect. He takes a temporary job photographing undressed women and falls for Pamela. His wife, Elaine, has little sympathy for this mid-life crisis.
Second Assistant Camera
Fast-food mogul Harry Buford serves up the best barbecued bunny sandwiches, and the hottest waitresses, in town. His only son, Jeeter, will inherit the empire only if he can overcome his life-long fear of women. When Buford offers $100,000 to the first of his sexy employees who can turn shy-guy Jeeter into a red-blooded he-man, the summer heat sizzles as Amber, Boopsie and Lauren pour on the charm in their efforts to win Jeeter's heart.
Second Assistant Camera
A con man seeks lonely women pretending to be "mister right" and seduces them, stealing their hearts and their assets. He finally meets his match when he rips off a savvy single mother and finds out the true meaning of a woman scorned.
Camera Loader
뉴욕시 경찰이었던 매트 코델은 억울한 누명을 쓰고 감옥에 수감되었다가 그에게 원한을 가졌던 죄수들에 의해 처참히 살해된다. 자신에게 누명을 씌우고 죽음으로 까지 몰고가게 한 부패한 경찰에게 복수를 하기 위해 부활한 그는 동료인 맥키니가 그의 명예를 회복시켜줌으로써 죽음의 안식을 되찾는다. 그러나 휴간이라는 사교집단의 무당이 코델을 불러내면서 공포는 다시 시작되는데, 그때 맥키니의 동료 케이티가 마약 중독자의 인질극에 투입되었다가 인질을 죽이고 자신도 부상을 당해 식물인간 상태에 빠진다. 그러나 특종을 노린 기자들이 케이티가 죄없는 인질을 죽인 점만 기사화시켜 사건을 왜곡시키자 코델은 케이티의 복수를 해주고 그녀를 자기의 세계로 데려가려 한다.
First Assistant Camera
Judge Rhinehole orders the Sunny Buttocks Nudist Camp closed down as an affront to the community. The members of the camp enter into a suicide pact, but vow to return for vengeance. Five years later, a group of campers on a retreat argue with each other about religion and sing big production numbers as the group begins experiencing an attrition problem.